Thursday, March 18, 2010

Senate Bill #6

Let me just say, that when I was growing up, becoming a teacher was my dream! I played school all the time and for as long as I can remember my passion was to teach! When I found out I was pregnant I knew that I was going to take a leave of absence and most likely stay home if the Lord allowed. I plan on homeschooling my children. Having taught for the last 4 years has changed my view of what I thought being a teacher was going to be. Let me explain this further:

You see, I couldn't wait to do tons of hands-on activities, experiments, arts and crafts. Of course those are the things I did as a child and LOVED! Unfortunately, as the last 4 years have played out, there has been more and more pressure to drop the "fun" things and teach, teach, teach all those standards. Don't get me wrong, it's vital to teach the standards, but I was finding that I no longer had time to do all the "fun" things, even though they had an academic basis. Meaning they weren't just art activities, they were tied to the standards. Needless to say the amount of things to teach the children all while taking into consideration the differing abilities of the students, and fitting this into a school day where you are tied down to a 90 minute reading block, 50 minute math block, 30 minute intervention block, 30 minute exercise block (seriously..), etc, is nearly impossible. I say all this to say that I have noticed that every year we, as teachers, are expected to do more and more and be paid the same amount. Many of us work over 4o hours a week with no overtime pay and constantly being ridiculed by legislators and business people who insist on running our schools. We are told we are nothing more than babysitters and not professionals. Why do we put up with this and a meager salary? All because we care about the kids and love being with them! That's what's important.

### Crystal structures that have nothing to do with the text
<<<
Record 1
For Ac2CoF8, DFT lattice parameters and positions (PBE+U) gives the simulated PXRD pattern in this record (CuKα).
Neutral-atom scattering factors, no anomalous dispersion.

Structural model:
Unit cell a=7.2982 b=7.2982 c=7.5253 alpha=93.76 beta=93.76 gamma=35.10
Sites, in units of the cell vectors:
Ac (0.2373, 0.2373, 0.2493)
Ac (0.7627, 0.7627, 0.7507)
Co (0.7422, 0.2578, 0.5000)
F (0.0218, 0.1212, 0.3227)
F (0.2381, 0.2365, 0.5941)
F (0.2931, 0.3003, 0.9374)
F (0.4225, 0.3901, 0.3486)
F (0.6099, 0.5775, 0.6514)
F (0.6997, 0.7069, 0.0626)
F (0.7635, 0.7619, 0.4059)
F (0.8788, 0.9782, 0.6773)

Main lines, low angle first (10 to 90 degrees two-theta):
d 6.942, 12.75°, I = 100
d 3.754, 23.70°, I = 21
d 3.695, 24.08°, I = 54
d 3.631, 24.52°, I = 55
d 3.471, 25.67°, I = 31
d 3.401, 26.20°, I = 26
d 2.887, 30.98°, I = 21
d 2.203, 40.96°, I = 27

***

Record 2
For AcTlCoF6, DFT lattice parameters and positions (PBE+U) gives the simulated PXRD pattern in this record (CuKα).
Neutral-atom scattering factors, no anomalous dispersion.

Structural model:
Unit cell a=7.6765 b=7.6765 c=7.6765 alpha=120.43 beta=113.92 gamma=95.05
Sites, in units of the cell vectors:
Ac (0.0000, 0.0000, 0.0000)
Ac (0.5000, 0.0000, 0.5000)
Tl (0.3123, 0.5623, 0.7500)
Tl (0.6877, 0.4377, 0.2500)
Co (0.0000, 0.0000, 0.5000)
Co (0.0000, 0.5000, 0.0000)
F (0.0366, 0.3943, 0.2029)
F (0.0366, 0.8337, 0.6423)
F (0.0878, 0.8378, 0.2500)
F (0.3086, 0.1663, 0.7029)
F (0.3086, 0.6057, 0.1423)
F (0.3732, 0.1232, 0.2500)
F (0.6268, 0.8768, 0.7500)
F (0.6914, 0.3943, 0.8577)
F (0.6914, 0.8337, 0.2971)
F (0.9122, 0.1622, 0.7500)
F (0.9634, 0.1663, 0.3577)
F (0.9634, 0.6057, 0.7971)

Main lines, low angle first (10 to 90 degrees two-theta):
d 5.184, 17.10°, I = 42
d 3.814, 23.32°, I = 39
d 3.459, 25.76°, I = 100
d 3.072, 29.07°, I = 44
d 2.516, 35.69°, I = 35
d 2.126, 42.51°, I = 31
d 1.907, 47.68°, I = 28
d 1.729, 52.94°, I = 18

* * * * *

Structure and calculated powder diffractogram of Er4Zn3Ru (a GGA-PBE-relaxed structure; Cu Ka).
No peak broadening, texture or thermal motion is included.

Structural model:
abc: 3.477 3.477 14.154
angles: 90.00 90.00 90.00
Fractional positions:
Er  0.000  0.000  0.114
Er  0.000  0.000  0.373
Er  0.000  0.000  0.627
Er  0.000  0.000  0.886
Zn  0.500  0.500  0.248
Zn  0.500  0.500  0.500
Zn  0.500  0.500  0.752
Ru  0.500  0.500  0.000

The 12 most intense peaks (2θ = 10–90°), most intense first:
36.22°, d = 2.480 Å, I = 1000; 36.55°, d = 2.459 Å, I = 501; 65.58°, d = 1.424 Å, I = 348; 52.65°, d = 1.739 Å, I = 175; 64.94°, d = 1.436 Å, I = 166; 25.62°, d = 3.477 Å, I = 152; 76.88°, d = 1.240 Å, I = 101; 51.66°, d = 1.769 Å, I = 83; 89.03°, d = 1.100 Å, I = 80; 88.84°, d = 1.101 Å, I = 78; 25.17°, d = 3.538 Å, I = 74; 44.89°, d = 2.019 Å, I = 68



Structure and calculated powder diffractogram of Sr3Ag (a GGA-PBE-relaxed structure; Cu Ka).
No peak broadening, texture or thermal motion is included.

Structural model:
abc: 8.501 10.898 7.396
>>>
### So much for the crystal structures

Well, this week I found out that there is a new bill (see my title) that is in the process of being passed. If this bill passes it will not be a good thing. I had to teach 3 years and be observed frequently to earn a professional contract which I would now lose according to this bill. All teachers would be placed on a probationary contract for up to five years, at which time we could earn an annual contract. Except for teachers who are hired after July 2010, they would get an annual contract automatically. EVERY teacher, no matter if you've taught 1 year or 30, would start at the same salary. This means a pay cut for almost every single teacher employed. Then, to top it off, 50% of the salary would be dependent on how well your students perform on a test (that is yet to be created). We, as teachers, know that we do everything we can to make sure our kids succeed. However, we have absolutely NO control over the parental support. Parental support is vital to a child's success and those students who don't have it are not nearly as successful. That being said, if I just happened to get a class that was filled with a majority of students who are low in academics then my salary would most likely be affected by being lower. In addition, teachers who worked to get their masters or national board certification would lose their salary bonus. In other words, there is no incentive for getting a masters or board certification anymore. This bill, if passed, would be stressful on teachers (not like we're not stressed enough).

The teachers are at my school are ready to quit if this passes. These are teachers who are amazing and have been doing so for 15-30 years. What a loss to the students in our country! Personally, I will quit as well, although that was already an option I was seriously considering. It is sad to think that my salary would be dependent on my students. There are a few male teachers are my school who are feeling the stress of being the sole provider for their family on a teachers salary and now might have to deal with this new bill. Everyone I've talked to would rather get a job at an office and sit at a desk all day and get paid more to be under less stress and work less hours.

Data records from another source follow.
-- begin --
The following is a theoretical X-ray diffraction stick pattern of HoMg4Sc5. It was derived from a structure optimized by DFT (GGA-PBE), using Cu Kα (weighted mean of Kα1 and Kα2).
Kinematic intensities with the Lorentz-polarization factor, no thermal factor.

Most intense lines, 10 to 80 degrees two-theta, sorted by position:
Position (°2θ)	intensity
13.7	15
25.6	20
26.8	19
28.8	19
31.3	22
34.4	100
35.9	48
51.7	16
60.5	14
63.6	31

Structure:
a = 3.5364 Å, b = 3.5364 Å, c = 19.3442 Å
α = 90.00°, β = 90.00°, γ = 90.00°
Atoms (fractional coordinates):
Ho1 0.0000 0.0000 0.0000
Mg1 0.0000 0.0000 0.2140
Mg2 0.0000 0.0000 0.4041
Mg3 0.0000 0.0000 0.5959
Mg4 0.0000 0.0000 0.7860
Sc1 0.5000 0.5000 0.1175
Sc2 0.5000 0.5000 0.3092
Sc3 0.5000 0.5000 0.5000
Sc4 0.5000 0.5000 0.6908
Sc5 0.5000 0.5000 0.8825
-- stop --

I say all this mainly to inform you all. This bill is being portrayed as a wonderful thing and the truth is, it's crazy. I am not worried about it as I know the Lord will provide for my family and we'll be okay. My concern is for the children in our country who go to public schools...and who's going to teach them if all the seasoned teachers quit? Just my thoughts...I'd love to hear yours!